Flatland Magnification

Magnification is an accessibility feature that allows clients to upscale rendered content as aid for people with visual impairments. For instance, a small region centered around the user’s cursor would be shown at a higher scale somewhere else on the display - and that area would move as the cursor itself moves. There is also the case of full screen magnification, where as the name suggests, the magnified region would be rendered over the whole display.


Flatland actually has no explicit notion of “magnification” in its API. Instead, magnification can be achieved by taking advantage of the flexibility of the Flatland scenegraph, namely, the ability for a transform node to scale its subtree and for a node to have multiple parent nodes.

Partial Magnification

Flatland traverses the scene graph in a depth-first manner in order to generate the final data lists to be sent to the renderer. A node with two parents will be traversed twice, and thus will show up twice in the final data list, with each instance inheriting a different set of global data depending on which parent was traversed for that instance. Because render data is duplicated, it is important to be aware of performance. Content behind fullscreen renderables will also be culled, which helps with this performance concern.

Thus for magnification, clients can set up a multiparented scene graph, where one parent contains a scale factor that magnifies all of the instances generated from Flatland traversing down its specific sub-hierarchy. This magnification node can be modified dynamically to suit the needs of the client. For instance, if the magnified region needs to follow the cursor, then the translation component of the magnification node can be updated based on the cursor position to create the effect of a moving magnified region on the screen.

Fullscreen Magnification

In the case of full-screen magnification, we can get by with a single parent node scaled up to the desired level of magnification. The layout information provided to clients for a particular view will not be affected by the scale factor applied to a parent magnification node.

Example Magnification Flow


Here is some example code demonstrating how to set up a scene for partial magnification.

// Create transform IDs.
const TransformId kIdRoot = {1};
const TransformId kIdParent1 = {2};
const TransformId kIdParent2 = {3};
const TransformId kIdChild = {4};

## Calculated crystals, kept here for reference
********
[1]
AlBrCl2: relaxed, GGA-PBEsol.

Results
E = -37.3 eV/cell
Distance to the lowest polymorph of the same formula = 666.0 meV per atom
Total magnetization = 0.00 μB/f.u.
E_form (uncorrected) = -612 meV/atom

abc: 3.5762 3.5762 22.4771
angles: 90.00 90.00 120.00
Space group R-3m (No. 166, hexagonal axes)
One atom of each set of equivalent atoms:
Al (0.0000, 0.0000, 0.0000)
Br (0.0000, 0.0000, 0.5000)
Cl (0.0000, 0.0000, 0.2756)

***

[2]
ScHg2: relaxed, GGA-PBEsol.

Results
E = -17.8 eV/cell
Total magnetization = 0.28 μB/f.u.
DFT formation energy = -0.39 eV per atom

abc: 3.293 3.293 11.482
angles: 90.00 90.00 90.00
Space group I4/mmm (No. 139)
One atom of each set of equivalent atoms:
Sc (0.000, 0.000, 0.000)
Hg (0.000, 0.000, 0.337)

***

[3]
Y4PPt: relaxed, GGA-PBEsol.

Results
E = -150.6 eV/cell
Total magnetization = 0.00 μB/f.u.
DFT formation energy = 0.40 eV per atom

abc: 8.249 8.249 8.249
angles: 90.00 90.00 90.00
Space group F-43m (No. 216)
One atom of each set of equivalent atoms:
Y (0.125, 0.125, 0.125)
P (0.000, 0.000, 0.500)
Pt (0.250, 0.250, 0.750)

***

[4]
Ba2Ni: relaxed, GGA-PBEsol.

Results
E = -40.0 eV/cell
Total magnetization = 0.00 μB/f.u.
DFT formation energy = 0.15 eV per atom

abc: 7.462 7.462 7.462
angles: 90.00 90.00 90.00
Space group Fm-3m (No. 225)
One atom of each set of equivalent atoms:
Ba (0.250, 0.250, 0.250)
Ni (0.000, 0.000, 0.000)

***

[5]
Tl2InAg: relaxed, GGA-PBEsol.

Results
E = -33.5 eV/cell
Distance to the lowest polymorph of the same formula = 64.1 meV per atom
Total magnetization = 0.00 μB/f.u.
DFT formation energy = 0.10 eV per atom

abc: 3.3072 3.3072 30.5498
angles: 90.00 90.00 120.00
Space group R-3m (No. 166, hexagonal axes)
One atom of each set of equivalent atoms:
Tl (0.0000, 0.0000, 0.2428)
In (0.0000, 0.0000, 0.0000)
Ag (0.0000, 0.0000, 0.5000)

***

[6]
ScFe2Cl2: relaxed, GGA-PBEsol.

Results
E = -57.7 eV/cell
Total magnetization = 5.00 μB/f.u.
E_form (uncorrected) = -57 meV/atom

abc: 4.106 4.106 9.830
angles: 90.00 90.00 90.00
Space group I4/mmm (No. 139)
One atom of each set of equivalent atoms:
Sc (0.000, 0.000, 0.000)
Fe (0.000, 0.000, 0.389)
Cl (0.000, 0.500, 0.250)

***

[7]
HfTiBi2: relaxed, GGA-PBEsol.

Results
E = -109.9 eV/cell
Total magnetization = 0.01 μB/f.u.
DFT formation energy = -0.02 eV per atom

abc: 7.072 7.072 7.072
angles: 90.00 90.00 90.00
Space group Fm-3m (No. 225)
One atom of each set of equivalent atoms:
Hf (0.000, 0.000, 0.000)
Ti (0.000, 0.000, 0.500)
Bi (0.250, 0.250, 0.250)

***

[8]
Co2SiRh: relaxed, GGA-PBEsol.

Results
E = -122.2 eV/cell
Total magnetization = 3.06 μB/f.u.
E_form (uncorrected) = -299 meV/atom

abc: 5.681 5.681 5.681
angles: 90.00 90.00 90.00
Space group F-43m (No. 216)
One atom of each set of equivalent atoms:
Co (0.000, 0.000, 0.000)
Co (0.250, 0.250, 0.250)
Si (0.000, 0.000, 0.500)
Rh (0.250, 0.250, 0.750)

***

[9]
Y3Ni: relaxed, GGA-PBEsol.

Results
E = -54.4 eV/cell
********
## The calculated crystals stop here

// Create the transforms.

// Scale up the magnification parent node.
flatland->SetScale(kIdParent2, {20, 20});

// Setup the diamond parent hierarchy.
flatland->AddChild(kIdRoot, kIdParent1);
flatland->AddChild(kIdRoot, kIdParent2);
flatland->AddChild(kIdParent1, kIdChild);
flatland->AddChild(kIdParent2, kIdChild);

// Present flatland.